Sitting in front of a laptop, Chris Pozo, a sixth-grade student at Truesdell Education Campus in Washington D.C., opens his Summit calendar to show his daily goals. “My goal is to do my task and get 50 percent or more,” it reads.
Like every other student using the Summit Learning platform, Pozo must start each class by setting his goals before doing activities. The goals are either typed or picked by the student from a drop-down list of options created by the teacher.
“Every morning I change it, and we type our goals right here,” explains Pozo, pointing to his screen. He then opens up an assignment on a Google Doc and a grading rubric, reviewing the comments and feedback his teacher has left on his work.

This goal-setting feature is part of the Summit Learning Platform, an online tool used in a personalized learning program created by Summit Public Schools. Core to the charter network’s vision is a belief that students can be empowered to make choices that direct their learning, with guidance from teachers and access to real-time data. Information from students’ activities on the platform is combined with qualitative feedback from educators to inform teachers, parents and most importantly, students themselves about their learning progression.
Yet getting students to make choices and direct their own learning is no easy task, even with the assistance of an online platform that has more than 50 software engineers maintaining it.
A recent visit to two schools in Washington, D.C. shows that implementing technology is only part of the struggle for public schools seeking to make the switch to personalized learning models. School administrators must lead complex organizational changes to create environments that nudge students to be self-directed learners. And inside the classroom, educators still wrestle with behavior issues, short attention spans and all the distractions that come with online tools.
What Is Summit Learning?
Summit Public Schools currently operates 11 charter schools in Washington and northern California. Its Summit Learning Platform, originally called Summit Basecamp, was first designed by the schools’ leaders using Google spreadsheets. In 2014, Facebook appointed a team of six engineers to help the organization build a more robust tool. Last year, the Chan Zuckerberg Initiative, the “venture philanthropy” affiliated with the Facebook CEO, took over building the technology platform. Summit officials say more than $20 million was invested into the program in 2017 alone.
Now, the Summit Learning Platform is used by about 56,000 students in approximately 330 campuses across 40 states and the District of Columbia.

Across the country, the Summit Learning Program is one of a number of different “personalized learning” models that schools and districts are increasingly trying out. Personalized learning, according to many educators and organizations championing its message, is about making education fit the needs of students.
Like other personalized learning technology tools, the Summit Learning Platform involves collecting data on student work and sharing that data back with the student and teacher. Unlike most personalized learning platforms that use algorithms to queue up the next steps or learning modules to help students make progress, Summit officials say their technology does not use algorithms or "adapt" on its own.
The technologies enable students to go through content at their own pace. Some programs also give learners options about the subjects they choose to master and how they want to work (with a teacher, in groups or independently online).
What sets Summit apart is how they combine the technology and an instructional model around a belief that students such as Pozo can become self-directed learners. They do this by preparing a curriculum that includes helping students develop critical thinking skills, academic knowledge, and a set of habits that Summit leaders say will help students become successful. For example, they support students seeking challenges and help them learn persistence. To do that involves far more than technology. That’s why Summit leaders insist that educators can’t just adopt the online platform--they have to change their school. And that change can, at times, be painful.
“One of the lines in the sand that I have drawn from the very beginning is that this is not an edtech tool. It’s a program for schools that are like us,” says Diane Tavenner, founder and CEO of Summit Public Schools, in an interview. She notes that in order for Summit’s online platform to be successfully integrated, leaders must adopt a school-wide approach to personalization.

In Washington, D.C. EdSurge visited two public schools where leaders had to make some cultural and operations changes before implementing Summit Learning. According to Summit officials, these are the core tenets required for schools to implement the approach successfully:
- Enabling 1:1 mentorship for groups of about 15 students who meet outside of class hours, during lunch, breakfast or other unstructured periods to offer students guidance;
- Embedding “project-based learning” activities, where students address real-world problems through projects, into all course curricula;
- Changing grading practices from a letter scale (A through F grades) to a competency-based system where students only progress when they demonstrate mastery of a topic or subject, and;
- Ongoing professional development opportunities from Summit personnel, who offer free training throughout the year via a mentor or coach, as well as convenings for educators.
“The first sign that we can’t or won’t work with someone is when a school comes up to us and says, ‘Oh, we are really looking for a technology platform,’ and we say, ‘Oh, well, we are not your thing,’” explains Tavenner. “That is not who we are, and that is not what we do. This is really about a whole belief, a way of educating, thinking and learning. This [platform] is just a tool.”
Inside DC Schools: Takes a Village to Personalize
The approach to integrating Summit Learning’s Platform and Program varies based on the school context. The Summit charter network, though public, has more flexibility to change certain core school features such as the bell schedules and the hours teachers work, flexibility that few traditional public schools have because of laws and contracts. Yet, traditional public schools have adopted the platform and made changes—where possible—to do it.
Truesdell was one of the first public schools outside of Summit’s own charter network to adopt the Summit Learning platform in 2015. The school serves 364 students, all of whom are eligible for free and reduced lunch. The school is in its third year of integration with the platform, which is used in grades 3 to 8.

When EdSurge visited Chris Pozo’s sixth-grade science class at Truesdell, the student was reviewing comments left by his teacher, Courtney Grant, on his writing assignment. He glanced back and forth between his Google Doc and the grading rubric on the right side of his screen. This is how he decides what to do to get a 4 (equivalent to an A) on this assignment.
“I have to add more transition words and make it organized,” Pozo explains as I visit his class. “This is what they are going to be grading us about,” he continues, pointing to the rubric on the screen.

Getting students and educators to use the online platform as seamlessly as Pozo is now was an uphill battle. More than a few tears were shed by teachers and some resigned, says MaryAnn Stinson, the principal at Truesdell.
For some educators, it was difficult to shift away from the tradition of creating a single lesson plan or activity for the entire class. In the personalized learning program that Summit distributes, teachers are expected to work closely with all students, whether they’re at, below or above the average. Even with the help of technology, school leaders say making sure every child in a classroom learns is a big ask— requiring extra time from teachers.
“We add in more time to keep them on track. [Students] go to Intervention Block, Saturday School and Lunch Bunch,” says Stinson, noting that she put in several extra activities to help students improve their reading scores in her school. “Our belief is, the research says, that everyone can learn how to read, so we have to be held to that accountability.”
“People cried, people left,” says Stinson, describing staff changes she has made to ensure educators buy into her vision. “Now this group of teachers is like, ‘If you come into my class, I am teaching you how to read.’”
Since she arrived in 2010, her school has been undergoing reforms and transformations with technology and school culture. She is regularly applying for grants and sending staff to training and fellowships.
Before using Summit, Truesdell already had mentorship groups, used project-based learning, had teachers differentiating instruction, and worked with a competency-based grading system called Mastery Connect. These practices, says Stinson, laid the necessary foundation for a successful implementation of Summit’s Learning Platform.
“We were very much about personalized learning—not the buzzword, but differentiated instruction to meet the needs of every child,” says Stinson about her early days at Truesdell.
Taking on the Summit platform has helped bring all their practices together, says Stinson, making the techniques and terminologies teachers were using consistent across classrooms.
In an interview with EdSurge, Truesdell’s Assistant Principal, Michael Redmond, explains the importance of having consistent terminologies across classrooms. “The consistent language— when a kid is in my English class, they go to Veronica’s math class and they go to Ms. Courtney’s science class— the expectation for kids to be successful is very clear. it's not subjective; it is very objective,” he says, pointing out the rubric students use on the Summit Platform.
Using the Summit system, educators at Truesdell are frequently updated on students’ progression and mastery of content through a data dashboard. But Stinson is adamant that simply observing data on a screen is not enough for teachers. Her school also practices what she calls “aggressive monitoring” to ensure teachers catch student issues the system cannot show.
“If you are asking kids to do an assignment, independent practice, or a ‘do now,’ you must be immediately walking around, seeing, observing, and marking their paper. You should be telling them ‘yes, go on’ or ‘no, go back.’ Otherwise, you’re wasting their time,” Stinson explains.

One result has led Stinson to believe that her school’s effort has been fruitful. Eight years ago, only 20 percent of students were reading on grade level. Today that number is around 80 percent.
“The school has made gains over the years, not big leaps and bounds, but nice, consistent gains. Last year we had the highest [district] growth in English Language Arts for a Title 1 school,” says Stinson. A Title 1 school is an institution that receives extra government funding for having a high population of economically disadvantaged students.
Getting Middle Schoolers to Guide Their Own Learning
Less than three miles away, Howard University Middle School is in its first year of using the Summit Learning platform. Like Stinson, Kathryn Procope, the principal at Howard, has sent her teachers to several trainings (with Summit and other organizations), received multiple grants and transformed her school’s operations to smooth transition to using the Summit platform to support personalization.

~~~
Record 1
First-principles (GGA-PBE) data for LaTcIr2 after structural relaxation, as listed in Alexandria.

Cell: 4.749 4.749 4.749 Å, 60.00 60.00 60.00°
Site moments in Bohr magnetons follow the coordinates.
Atoms (fractional coordinates):
Ir: 0.250 0.250 0.250  0.64
Ir: 0.750 0.750 0.750  0.64
Tc: 0.000 0.000 0.000  2.10
La: 0.500 0.500 0.500  0.02

VASP energy   -7.959 eV/atom
Offset from the most stable computed form   390 meV per atom
Formation enthalpy at 0 K   6.80 kcal/mol of atoms
Calculated volume   75.7 Å³/cell
Space-group type   Fm-3m, No. 225

Record 2
First-principles (GGA-PBE) data for LaTcIr2 after structural relaxation, as listed in Alexandria.

Cell: 2.845 3.877 6.781 Å, 90.00 90.00 90.00°
Atoms (fractional coordinates):
Tc: 0.500 0.500 0.824
Ir: 0.500 0.500 0.205
Ir: 0.000 0.000 0.984
La: 0.000 0.000 0.487

VASP energy   -8.173 eV/atom
Offset from the most stable computed form   176 meV per atom
Formation enthalpy at 0 K   1.87 kcal/mol of atoms
Calculated volume   74.8 Å³/cell
Space-group type   Pmm2, No. 25

Record 3
First-principles (GGA-PBE) data for LaZr2TcIr after structural relaxation, as listed in Alexandria.

Cell: 5.055 5.466 5.055 Å, 90.00 90.00 90.00°
Site moments in Bohr magnetons follow the coordinates.
Atoms (fractional coordinates):
~~~
[The data records stop here]

She hesitates to give too much credit to Summit for the progress her students have shown at Howard, saying her the concept of personalizing learning is something her school has been working to cultivate for years. “It is not a new concept,” says Procope, of Summit’s personalized learning philosophy. “What Summit has done is take a concept that already existed and put a framework around it so that it assists every student.”
She finds that the Summit program has helped create a guide for personalizing learning at her school, mapping out the details teachers and administration need to take to make sure everyone is on the same page. She is also pleased that Summit allows students to set goals, work to meet goals, take assessments and— most importantly—allows students to try again when they fail.
“A lot of times teachers have very hard and fast ideas about, ‘I teach you, you take the test, you fail the test, you get the grade, I move on.’ That fails urban children every single time,” says Procope. “Where in life don’t you get another chance? You can take the SAT 20 times, and they take the best score. I can fail my driver’s test and take it again. I didn’t understand why we had those hard and fast rules here because that’s not what society does.”
But Procope is careful to attribute the school’s improvements to verbal communication and personal relationships between teachers and students. Her teachers, she says, have been what helped her students become self-directed learners.

_These materials data were left in the article by mistake_
/*
Entry from Alexandria via LeMat-Bulk: crystalline ReTeSe2 at its relaxed geometry (PBE).

Summary:
V (Å³/cell): 166.16
Energy relative to the elements, uncorrected (eV/atom): 0.75
SG: I4/mmm

Lattice parameters (Å, degrees): 5.507 5.507 5.480 90.00 90.00 90.00
Positions (direct):
1 Re 0.000 0.000 0.000
2 Re 0.500 0.500 0.500
3 Te 0.000 0.000 0.500
4 Te 0.500 0.500 0.000
5 Se 0.000 0.500 0.000
6 Se 0.000 0.500 0.500
7 Se 0.500 0.000 0.000
8 Se 0.500 0.000 0.500


This record from Alexandria describes crystalline NaLiOsPd2 at its relaxed geometry. The functional is PBE.

Cell lengths 4.3853, 3.9915, 4.3853 Å; angles 90.00, 90.00, 90.00 degrees
Last column: nearest neighbours and their distance in Å.
Sites, in units of the cell vectors:
Na (0.0000, 0.5000, 0.0000)  2 Li 2.00
Pd (0.0000, 0.0000, 0.5000)  2 Li 2.19
Os (0.5000, 0.5000, 0.5000)  8 Pd 2.96, 4 Na 3.10
Li (0.0000, 0.0000, 0.0000)  2 Na 2.00, 4 Pd 2.19
Pd (0.5000, 0.0000, 0.0000)  2 Li 2.19

Properties
symmetry: P4/mmm, No. 123
E: -20.47 eV/f.u.
density of states at the Fermi level: 5.1 states/eV/f.u.
energy relative to the elements: 0.88 eV per atom
total magnetic moment: 2.15 Bohr magnetons per cell


Record 1
# ReAu (PBE-GGA, optimized geometry)
# calculated volume	198.7	Å³/cell
# energy relative to the lowest polymorph listed for this composition	0.51	eV/f.u.
# formation energy from the elements	0.398	eV/atom
data_ReAu
_space_group_name_H-M_alt 'C 1 m 1'
_space_group_IT_number 8
_cell_length_a 10.6857
_cell_length_b 2.8707
_cell_length_c 6.7214
_cell_angle_alpha 90.00
_cell_angle_beta 105.49
_cell_angle_gamma 90.00
loop_
_space_group_symop_operation_xyz
'x,y,z'
'x,-y,z'
'x+1/2,y+1/2,z'
'x+1/2,-y+1/2,z'
loop_
_atom_site_label
_atom_site_type_symbol
_atom_site_fract_x
_atom_site_fract_y
_atom_site_fract_z
Re1 Re 0.0000 0.0000 0.0000
Re2 Re 0.0432 0.0000 0.6398
Re3 Re 0.1901 0.5000 0.9462
Au1 Au 0.1477 0.5000 0.3492
Au2 Au 0.3229 0.0000 0.6893
Au3 Au 0.3742 0.0000 0.2688


Record 2
# Fe2HRu (PBE-GGA, optimized geometry)
# calculated volume	117.0	Å³/cell
# energy relative to the lowest polymorph listed for this composition	0.00	eV/f.u.
data_Fe2HRu
_space_group_name_H-M_alt 'R -3 m'
_space_group_IT_number 166
_space_group_name_Hall '-R 3 2"'
_cell_length_a 2.6398
_cell_length_b 2.6398
_cell_length_c 19.3899
_cell_angle_alpha 90.00
_cell_angle_beta 90.00
_cell_angle_gamma 120.00
loop_
_atom_site_label
_atom_site_type_symbol
_atom_site_fract_x
_atom_site_fract_y
_atom_site_fract_z
Fe1 Fe 0.0000 0.0000 0.2244
H1 H 0.0000 0.0000 0.5000
Ru1 Ru 0.0000 0.0000 0.0000


Record 3
# Zr3Si (PBE-GGA, optimized geometry)
# calculated volume	255.8	Å³/cell
# formation energy (no corrections)	-0.50	eV/f.u.
data_Zr3Si
_space_group_name_H-M_alt 'R -3 m'
_space_group_IT_number 166
_space_group_name_Hall '-R 3 2"'
_cell_length_a 3.2319
_cell_length_b 3.2319
_cell_length_c 28.2839
_cell_angle_alpha 90.00
_cell_angle_beta 90.00
_cell_angle_gamma 120.00
loop_
_atom_site_label
_atom_site_type_symbol
*/

These relationships are observed on EdSurge’s school visit where, teachers stand in the hallways greeting students, one-by-one, as they enter classrooms. Procope makes herself available to staff and pupils, taking time to listen to their personal needs and concerns. In the future, she plans to customize the school schedule so students can come early or stay late as needed.
Yet, in spite of these efforts, and buy-in from her teaching staff, integrating the Summit Learning Platform and Program into the school has been a steep learning curve.
Procope has caught students using their “personalized learning time” (which averages about 30 minutes in a 55-minute class period) to do things such as going on YouTube and listening to music. To curb this behavior, she has set up meetings with teachers, students and parents to learn how to help learners stay on task while using the platform. Some students, she notes, need constant reminders to stay focused.
“Sixth-grade students can barely put their pants on. They lose their stuff all the time,” says Procope. “It takes a lot to help them start setting their own goals. It’s a lot of repetitive processes.”
The spectrum of sixth grade behaviors are on display is displayed in the classroom, where some sixth grade math students, needing no guidance at all, begin setting their goals and completing work on the Summit Learning Platform, while others swivel in their chairs and wait for direction from their teacher, five months into the school year.
Procope notes that simply providing students with technology tools without putting in supports to make the systems work, is a recipe for disaster.
“You have some students who have a very structured life at home, and so it was not difficult for them, but that’s not most of the students that we serve,” Procope explains.
Her observation—that students with disciplinary issues and unstructured home environments struggle to direct their own learning using personalized tools— is consistent with observations from researchers.

Dr. John Pane, a senior scientist at RAND Corporation research group, recently published findings from a large-scale evaluation of over 150 schools that have adopted personalized learning models. Among his observations were that students who performed worse on achievement tests after using educational software also struggled with self-discipline and were easily distracted online.
“We saw a lot of problems with students being on-task in those classes,” says Pane in an interview with EdSurge about his study. “They were basically using the freedom that came with using the an opportunity to slack off and not really stay on topic. We think that was one reason the tool was not working very well.”
To encourage students to stay on task each morning, Nyah Reese, a sixth-grade math teacher at Howard, reads out each student’s name and thanks them as they set their goals in the system.
“Thank you Mayana, Malaysia, Anya, Amarie, thank you,” says Reese to the class.
Students in her class do not sit idly or quietly in front of their computers the entire class period. Her teaching style is hands-on, showcasing for students what they must do within the Summit platform before assigning work. She is constantly walking around to observe and answer their questions.
“I show this to them all the time,” says Reese, as she makes sure each student sets their daily goal. “They act like it is brand new every single day.”

“It’s not a silver bullet,” says Procope, referring to Summit. “Sometimes we look and see kids who haven’t started checkpoints (assignments). We really have to pay attention to students. They don’t need unsupervised technology time. They are still young people learning to make good decisions.”
In the schools EdSurge visited, the amount of time students spend on Summit’s online platform varied from teacher to teacher. Procope estimates that in the four (out of eight) class periods where Summit is used, students spend about half of class time on the platform. At Truesdell, the school’s principal estimates that students are engaged, in some capacity, (taking notes from videos, reviewing feedback, making edits or taking an assessment) with their devices for about half the school day.
Stinson says the idea of a students spending all their time on computers is one of the biggest misconceptions surrounding personalized learning programs.
“I am a teacher. I don’t want my kid on a computer all day,” says Stinson. “The teacher is still the—I don’t want to say the center of the classroom—but more of the facilitator, the designer of the learning, the assessment person. There are a lot of pieces to that. But the classroom still centers around the teachers as the architect of what going to happen.”